Given.
-- begin --
For Hg3PdI9, a cell relaxed with PBE gives the calculated X-ray diffraction stick pattern in this record (Cu Kα).
No peak broadening, texture or thermal motion is included.

Atomic structure:
a b c (Å): 10.723 10.723 12.058
angles (deg): 90.00 90.00 97.38
Sites, in units of the cell vectors:
Hg (0.119, 0.337, 0.354)
Hg (0.209, 0.791, 0.750)
Hg (0.337, 0.119, 0.646)
Hg (0.663, 0.881, 0.146)
Hg (0.791, 0.209, 0.250)
Hg (0.881, 0.663, 0.854)
Pd (0.294, 0.706, 0.250)
Pd (0.706, 0.294, 0.750)
I (0.044, 0.234, 0.141)
I (0.091, 0.762, 0.346)
I (0.126, 0.126, 0.500)
I (0.137, 0.594, 0.898)
I (0.234, 0.044, 0.859)
I (0.238, 0.909, 0.154)
I (0.329, 0.517, 0.382)
I (0.406, 0.863, 0.602)
I (0.483, 0.671, 0.118)
I (0.517, 0.329, 0.618)
I (0.594, 0.137, 0.102)
I (0.671, 0.483, 0.882)
I (0.762, 0.091, 0.654)
I (0.766, 0.956, 0.359)
I (0.863, 0.406, 0.398)
I (0.874, 0.874, 0.000)
I (0.909, 0.238, 0.846)
I (0.956, 0.766, 0.641)

Top 12 peaks for 10 to 80 degrees two-theta, low angle first:
2θ (°)  d_spacing  Rel. int.
11.1  7.976  32
13.2  6.698  100
16.9  5.245  76
22.3  3.988  28
26.2  3.399  35
26.5  3.362  40
29.2  3.054  22
29.7  3.009  46
33.7  2.659  27
36.6  2.456  22
38.9  2.313  33
41.1  2.196  23

***

For PmSnHgI6, a cell relaxed with PBE gives the calculated X-ray diffraction stick pattern in this record (Cu Kα).
No peak broadening, texture or thermal motion is included.

Atomic structure:
a b c (Å): 7.927 7.927 7.393
angles (deg): 90.01 90.01 119.93
Sites, in units of the cell vectors:
Pm (0.000, 0.000, 0.000)
Sn (0.333, 0.667, 0.000)
Hg (0.667, 0.333, 0.500)
I (0.013, 0.329, 0.758)
I (0.013, 0.685, 0.243)
I (0.315, 0.328, 0.243)
I (0.315, 0.987, 0.757)
I (0.671, 0.987, 0.242)
I (0.672, 0.685, 0.757)

Top 12 peaks for 10 to 80 degrees two-theta, low angle first:
2θ (°)  d_spacing  Rel. int.
17.6  5.032  63
25.5  3.494  100
28.7  3.114  19
33.1  2.704  85
36.7  2.449  23
39.4  2.289  54
43.2  2.093  24
47.5  1.915  17
52.4  1.747  23
63.3  1.469  13
64.8  1.438  24
67.4  1.389  21

***

For Hg2Pt2I, a cell relaxed with PBE gives the calculated X-ray diffraction stick pattern in this record (Cu Kα).
No peak broadening, texture or thermal motion is included.

Atomic structure:
a b c (Å): 7.542 7.542 3.741
angles (deg): 90.00 90.00 90.00
Sites, in units of the cell vectors:
Hg (0.159, 0.341, 0.000)
Hg (0.341, 0.841, 0.000)
Hg (0.659, 0.159, 0.000)
Hg (0.841, 0.659, 0.000)
Pt (0.137, 0.637, 0.500)
Pt (0.363, 0.137, 0.500)
Pt (0.637, 0.863, 0.500)
Pt (0.863, 0.363, 0.500)
I (0.000, 0.000, 0.500)
I (0.500, 0.500, 0.500)

Top 12 peaks for 10 to 80 degrees two-theta, low angle first:
2θ (°)  d_spacing  Rel. int.
16.6  5.333  10
33.7  2.656  9
35.8  2.505  100
37.7  2.385  37
48.3  1.886  8
48.7  1.870  12
50.0  1.826  7
51.4  1.778  8
56.0  1.643  9
63.2  1.472  17
72.0  1.312  19
73.5  1.289  5

* * * * *

Starting from the GGA-PBE geometry in Alexandria, the powder XRD pattern of NdPb7F17 was calculated for Cu Ka.
Kinematic intensities with the Lorentz-polarization factor, no thermal factor.

Principal peaks in the range 2θ from 10° to 90°, in order of rising 2θ:
25.45°, I 34.9
26.01°, I 100.0
29.96°, I 47.2
42.53°, I 39.1
43.24°, I 39.3
50.22°, I 17.7
50.85°, I 33.3
51.16°, I 16.5
53.50°, I 10.4
62.26°, I 12.3

Structure:
Lattice parameters (Å, degrees): 4.1808 4.1849 28.0988 85.75 85.74 60.07
Atoms (fractional coordinates):
Nd: 0.0000 0.0000 0.0000
Pb: 0.1246 0.1239 0.6305
Pb: 0.2494 0.2472 0.2551
Pb: 0.3731 0.3764 0.8808
Pb: 0.5001 0.4965 0.5053
Pb: 0.6245 0.6250 0.1275
Pb: 0.7488 0.7508 0.7563
Pb: 0.8750 0.8712 0.3799
F: 0.0285 0.0337 0.9137
F: 0.0921 0.0946 0.7252
F: 0.1563 0.1522 0.5375
F: 0.2195 0.2157 0.3465
F: 0.2816 0.2817 0.1560
F: 0.3334 0.3358 0.9991
F: 0.4032 0.4059 0.7911
F: 0.4688 0.4677 0.5985
F: 0.5314 0.5268 0.4114
F: 0.5934 0.5909 0.2232
F: 0.6519 0.6537 0.0432
F: 0.6805 0.6870 0.9572
F: 0.7173 0.7223 0.8478
F: 0.7808 0.7800 0.6623
F: 0.8444 0.8403 0.4733
F: 0.9059 0.9023 0.2866
F: 0.9700 0.9718 0.0892

=====
-- stop --

Assignment.
Please filter the rows further above: keep the lines with the word "fractional".

Solution.
Atoms (fractional coordinates):